File =
-- begin --
Record 1
AlTc5 after structural relaxation, computed with PBE.

a b c (Å): 5.8977 5.8977 3.9852
angles (deg): 90.00 90.00 140.85
Positions (direct):
Tc: 0.1716 0.8284 0.0000
Tc: 0.8284 0.1716 0.0000
Tc: 0.0000 0.0000 0.5000
Tc: 0.3328 0.6672 0.5000
Tc: 0.6672 0.3328 0.5000
Al: 0.5000 0.5000 0.0000

Symmetry = Cmmm, No. 65
Uncorrected energy = -55.78 eV/cell
Formation enthalpy at 0 K = -0.0353 eV/atom
Fermi-level density of states = 6.00 states/eV/f.u.
Energy above the lowest structure with this stoichiometry = 0.545 eV/f.u.

Record 2
Ac6Te3As2P after structural relaxation, computed with PBE.

a b c (Å): 7.9221 7.9221 8.1625
angles (deg): 99.33 99.33 119.96
Positions (direct):
As: 0.3337 0.6663 0.0000
Ac: 0.9265 0.5981 0.7792
Ac: 0.2541 0.2541 0.7781
Te: 0.5000 0.5000 0.5000
As: 0.6663 0.3337 0.0000
Ac: 0.5981 0.9265 0.7792
Te: 0.8316 0.1684 0.5000
Te: 0.1684 0.8316 0.5000
P: 0.0000 0.0000 0.0000
Ac: 0.0735 0.4019 0.2208
Ac: 0.7459 0.7459 0.2219
Ac: 0.4019 0.0735 0.2208

Symmetry = C2/m, No. 12
Uncorrected energy = -67.52 eV/cell
E_form (uncorrected) = -1.56 eV/atom
Fermi-level density of states = 5.31 states/eV/f.u.

Record 3
AlPtS6 after structural relaxation, computed with PBE.

a b c (Å): 6.6738 7.1236 5.1583
angles (deg): 79.24 82.19 48.99
Positions (direct):
S: 0.8261 0.4108 0.8510
S: 0.6465 0.6425 0.1346
S: 0.1747 0.9412 0.5771
S: 0.3535 0.3575 0.8654
S: 0.8253 0.0588 0.4229
S: 0.1739 0.5892 0.1490
Al: 0.5000 0.5000 0.5000
Pt: 0.0000 0.0000 0.0000

Symmetry = P-1, No. 2
Uncorrected energy = -36.72 eV/cell
E_form (uncorrected) = -0.27 eV/atom
Fermi-level density of states = 1.56 states/eV/f.u.

Record 4
ReAsIr2 after structural relaxation, computed with PBE.

a b c (Å): 2.8270 2.8270 7.6564
angles (deg): 90.00 90.00 90.00
Positions (direct):
Ir: 0.0000 0.0000 0.0125
Ir: 0.0000 0.0000 0.4875
As: 0.5000 0.5000 0.7500
Re: 0.5000 0.5000 0.2500

Symmetry = P4/mmm, No. 123
Uncorrected energy = -34.58 eV/cell
Formation enthalpy at 0 K = 0.0610 eV/atom
Fermi-level density of states = 3.07 states/eV/f.u.

Record 5
TaN after structural relaxation, computed with PBE.

a b c (Å): 2.9650 2.9650 3.1194
angles (deg): 90.00 90.00 90.00
Positions (direct):
Ta: 0.0000 0.0000 0.5000
N: 0.5000 0.5000 0.5000

Symmetry = P4/mmm, No. 123
Uncorrected energy = -21.50 eV/cell
E_form (uncorrected) = -0.66 eV/atom
Fermi-level density of states = 0.71 states/eV/f.u.

Record 6
TaRuCl after structural relaxation, computed with PBE.

a b c (Å): 4.5067 3.0971 18.5106
angles (deg): 90.00 102.55 90.00
Positions (direct):
Cl: 0.8209 0.0000 0.8325
Ru: 0.2240 0.0000 0.9488
Ru: 0.7760 0.5000 0.5512
Cl: 0.1791 0.0000 0.1675
Cl: 0.8209 0.5000 0.3325
Ta: 0.6829 0.5000 0.9315
Ta: 0.6829 0.0000 0.4315
Ru: 0.2240 0.5000 0.4488
Ru: 0.7760 0.0000 0.0512
Ta: 0.3171 0.0000 0.5685
Ta: 0.3171 0.5000 0.0685
Cl: 0.1791 0.5000 0.6675

Symmetry = C2/m, No. 12
Uncorrected energy = -97.65 eV/cell
E_form (uncorrected) = -0.48 eV/atom
Fermi-level density of states = 0.87 states/eV/f.u.
Energy above the lowest structure with this stoichiometry = 0.155 eV/f.u.

Record 7
NdSc5Tl6 after structural relaxation, computed with PBE.

a b c (Å): 5.1942 7.2707 8.9596
angles (deg): 113.94 106.39 90.00
Positions (direct):
Tl: 0.1725 0.4307 0.3446
Tl: 0.1725 0.9138 0.3446
Sc: 0.6686 0.6679 0.3358
Tl: 0.5000 0.7324 0.0000
Tl: 0.5000 0.2676 0.0000
Tl: 0.8275 0.0862 0.6554
Nd: 0.0000 0.0000 0.0000
Sc: 0.3379 0.8381 0.6761
Sc: 0.3314 0.3321 0.6642
Tl: 0.8275 0.5693 0.6554
Sc: 0.6621 0.1619 0.3239
Sc: 0.0000 0.5000 0.0000

Symmetry = C2/m, No. 12
Uncorrected energy = -53.81 eV/cell
Formation enthalpy at 0 K = -0.2657 eV/atom
Fermi-level density of states = 10.01 states/eV/f.u.

Record 8
KZnCr4 after structural relaxation, computed with PBE.

a b c (Å): 5.0552 5.0552 5.0552
angles (deg): 60.00 60.00 60.00
Positions (direct):
Cr: 0.8672 0.3776 0.3776
Cr: 0.3776 0.3776 0.3776
Cr: 0.3776 0.3776 0.8672
Cr: 0.3776 0.8672 0.3776
Zn: 0.0000 0.0000 0.0000
K: 0.7500 0.7500 0.7500

Symmetry = F-43m, No. 216
-- stop --

Exercise =
Now filter the listing further up: keep the lines with the word "As".

Solution =
As: 0.3337 0.6663 0.0000
As: 0.6663 0.3337 0.0000
As: 0.5000 0.5000 0.7500